Hillside PTA/SATp Meeting Minutes
February 12, 2023 @ 6:30p (Virtual only)
Reviewed & approved by PTA membership vote in 3/10/2023 PTA/SATp Meeting
- Welcome
- Minutes approved unanimously from January 12, 2023 meeting
- PTA Treasurer’s Report
- General Budget & Finance Overview
- Have $20k in bank from Fireball earmarked for 3 things: Projectors, Bulletin board and rehab of DOT room
- Mike working with district to get items paid for (just under $10k for projectors, training and installation)
- Sitting on some cash, but don’t have many more fundraisers planned for rest of year. Have big spend items coming up: 5th grad picnic, EOY picnic for teachers
- Requested budget changes– with Membership approval:
- Increase Field Trip budget by $1,000.00– from $3k to $4k in total – this will support an end-of-the-year field trip for all 3rd grade students
- Increase Science Day budget by $600.00 – this will allow for the PTA to underwrite the Science Day Assembly which costs $1,435.00. ($900.00 is already in the budget)
- Both items put to vote, seconded. Approved unanimously
- For future discussion:
- Increase in beautification budget
- Purchase folding tables for the school – these will replace existing folding tables that are in extremely poor condition
- This has been a year of learning: How much do we spend? How much do we save? What bandwidth do we have from fundraising perspective? What is the true cost of stuff given inflation? What is expectation around continuing events that happened pre Covid?
Q: Did District put any money toward projects Fireball funding was earmarked for? E.g. Capital projects. Would hope we’re pressing upon Dr. A to push district to put money toward things that are important to the parents and school and that PTA shouldn’t necessarily have to fundraise for.
A: Don’t believe District put money toward bulletin boards or DOT room. Only thing that’s happened is the projectors. These questions best addressed with Dr. Anglin.
Q: Another item we’re fundraising for is beautification – landscaping, plants, etc. This is another area where the District is falling short, we have been asked to keep our “gem in the center of town” shining brightly. Similarly, school has asked for new tables. Shouldn’t be an item we pay for, but that’s where we find ourselves.
- Nominating Committee Update
- Report from Tawaina and Kim to consider new exec board members – 5 roles that need to be filled
- Seeking support from existing leadership (shadowing, pre-planning for next year). Coming out of pandemic want to encourage participation from parents and families. Reach out if you’re interested or have questions. More details during March meeting.
- Focusing on Exec board roles and considering committee roles as “extra credit.” Hoping that if people don’t sign up for leadership, they will sign up for committee chairs
- Vivian Hadis joining as third member of Nominating Committee
- Principal’s Report – presented by Mrs. JoAnne Carroll, Interim Principal
- BHM: Students are doing wonderful job with BHM announcements – they’re proud, happy and it’s going really well.
- HIB assessment: Follow up, additional detail after meeting with Mr. Acevedo and Ms. Scott:
- Will have a meeting with whole school community
- HIB self assessment scores largely impacted by COVID protocol. Most of 2020-21 we weren’t in the building. ‘21-22 parents and community not allowed in building. Area where we scored low is required documentation of parents and community being in building and attending meetings. – Ms. Scott will gather more information on how other schools scored themselves in this area since families were not allowed in building.
- Children were not in school together and families were navigating stress, fear, etc. Many students were entering building for the first time. Focus was always to meet needs of students with regard to SEL
- Highest scores we received was for HIB investigations, procedures and partnering with families to ensure safety of children
- Will hold follow up community meeting to provide more information to parents. Told Mr. Acevedo that the March 10 PTA meeting might be too late but hope to have information to parents early next week about when community meeting can happen.
- Mr Acevedo was in charge of this area at his former school, so there are two people including Ms. Scott who have deep knowledge on this
- Would like to make a nice PPT to share with community and confirm when is the best time to present information. Important for all three of us to be involved (Acevedo, Carroll, Scott)
- No determination yet made about whether a communication will go out preemptively to acknowledge report and offer plan for when further communication will happen
- Carroll feels like the article presented information without explaining it, created more questions than answers
Q (from Carroll): Were parents presented the self assessment?
A: Justin/Lani provided clarity about the Local article and self assessment that was completed later than it normally would have been. Typically would get reports at end of school year – Mr. Vargas has some personal matter that prevented him from completing it when he normally would have. District has also hired an anti-bullying coordinator – Maggie Dock, who started in September 2022 and was not in place when assessment was done. Report was made public at 1/12/23 BOE meeting and Local put out article on Monday, 2/6
Q: After seeing article, should I be alarmed as a parent? Communication to families should address what the self assessment looked like and what will be done to address the challenges it raised.
A: Scott and Acevedo have taken numerous phone calls, emails about this so we’re not running from it, just need to strategize around how to address it
Q: My child experienced bullying for 3 months on the bus and the matter had to be elevated to Dr. Ponds. I advocated for an anti-bullying coordinator for the district. Asked an attorney who is knowledgeable about HIB laws.There is a recording that I’m happy to share. Do you know how many HIB reports there were last year and how many there are this year so far? Can # of HIB reports be included in presentation to the community, that would be very informative?
A: Don’t have that data in front of me. Great that you advocated for anti-bullying coordinator. Happy to have separate conversation about your child. Once I have an understanding of whether I’m allowed to provide that information I will do so unless i’m not allowed to and if that’s a case, will tell you why.
- President’s Report
- Hillside School Tours a success. Thank you to all of our volunteers and our Tour
leaders, Karen Andes and Jillian Reich.
- Student tour guides were enthusiastic and had pride in showing off their school. Good flow of people
Someone pasted data records at this point
____________
Density functional theory data (ωB97M-V/def2-TZVPD) for a 2-piece molecular cluster, C11H15N overall at a distorted geometry.

Last columns: bonded neighbours and bond lengths (Å).
Geometry (Å):
1 C 0.887 2.695 3.380  N12 1.235, H13 1.055, H14 1.092
2 C 1.556 0.582 -1.108  C3 1.491, C8 1.552, H15 1.167, H16 1.162
3 C 0.116 0.199 -1.131  C2 1.491, C6 1.562, C7 1.542, H17 1.121
4 C 1.107 -1.335 0.342  C5 1.603, C6 1.561, C8 1.485, H18 1.065
5 C 1.096 -0.094 1.356  C4 1.603, C8 1.510, C9 1.353, H19 1.077
6 C -0.041 -1.298 -0.714  C3 1.562, C4 1.561, C10 1.530, H20 1.149
7 C -0.643 1.028 -0.074  C3 1.542, C9 1.419, C11 1.452, H21 1.200
8 C 2.020 -0.177 0.164  C2 1.552, C4 1.485, C5 1.510
9 C 0.050 0.734 1.128  C5 1.353, C7 1.419
10 C 0.138 -2.320 -1.838  C6 1.530, H22 1.195, H23 1.111, H24 1.150
11 C -2.091 0.948 -0.129  C7 1.452, H25 1.103, H26 1.110, H27 1.138
12 N -0.250 2.570 2.913  C1 1.235
13 H 1.145 3.514 3.994  C1 1.055
14 H 1.710 2.186 2.874  C1 1.092
15 H 1.977 0.106 -2.087  C2 1.167
16 H 1.744 1.721 -0.973  C2 1.162
17 H -0.243 0.353 -2.181  C3 1.121
18 H 1.161 -2.250 0.885  C4 1.065
19 H 1.580 -0.141 2.317  C5 1.077
20 H -0.953 -1.736 -0.169  C6 1.149
21 H -0.382 2.184 -0.266  C7 1.200
22 H 1.296 -2.609 -1.769  C10 1.195
23 H -0.193 -1.909 -2.817  C10 1.111
24 H -0.546 -3.238 -1.727  C10 1.150
25 H -2.683 1.589 0.545  C11 1.103
26 H -2.684 0.034 0.084  C11 1.110
27 H -2.555 1.371 -1.079  C11 1.138

Values from the calculation:
- HOMO-LUMO gap (alpha / beta): 6.67 / 5.31 eV
- Energy relative to the best compared isomer or geometry (same formula, charge and spin): 4.126 eV
- Spin multiplicity: 3
- E: -13129.731 eV
- ⟨S²⟩: 2.0254
- E_HOMO (alpha / beta): -6.428 / -6.582 eV

----------

(1)
Entry from the Open Molecules 2025 dataset: 6 unconnected molecules or ions with the total composition C2H16O5S at a distorted geometry (wB97M-V/def2-TZVPD).

Results
* Kohn-Sham gap: 9.34 eV
* HOMO: -9.26 eV
* SMILES string: CCS.O.O.O.O.O
* LUMO: 0.1 eV

Last column: natural (NBO) charge in e.
Element x y z (Å)
C 3.240 -1.456 -1.421  -0.6631
C 3.260 0.013 -1.815  -0.5108
S 3.097 1.003 -0.287  -0.0694
H 2.441 -1.687 -0.711  0.2221
H 4.164 -2.010 -1.210  0.2281
H 2.730 -2.144 -2.073  0.2253
H 4.203 0.201 -2.330  0.2162
H 2.438 0.313 -2.457  0.2134
H 3.551 0.023 0.556  0.1379
O -1.287 -0.318 -4.108  -0.9291
H -1.334 0.458 -3.539  0.4652
H -0.380 -0.615 -3.972  0.4646
O -1.872 -2.163 3.139  -0.9566
H -1.754 -2.159 4.098  0.4648
H -2.663 -1.601 3.113  0.4879
O -3.552 4.398 -0.115  -0.9292
H -3.693 5.358 -0.177  0.4657
H -2.678 4.371 -0.545  0.4636
O -4.098 -0.216 2.270  -0.9601
H -4.052 0.746 2.272  0.4836
H -4.303 -0.495 1.366  0.4812
O 0.983 -0.713 3.016  -0.9508
H 0.437 -1.338 2.522  0.4833
H 1.122 0.031 2.405  0.4664

---

(2)
Entry from the Open Molecules 2025 dataset: 6 unconnected molecules or ions with the total composition C2H16O6 at a distorted geometry (wB97M-V/def2-TZVPD).

Results
* Kohn-Sham gap: 10.64 eV
* HOMO: -10.38 eV
____________
- Karen & Jill have grandfathered themselves in to this role. Can they do a write up of what they do so that we can share it with future parent chairs
- Next year, encourage 3rd graders to do Nish tours.
- Explorers Winter Session registration & enrollment was successful
- Off to good start. Spy Kids sold out quickly. Plan to run most popular classes again next cycle.
- Awarded 13 scholarships and 5 students are using para to participate – paid for by PTA
- Mounted interactive projectors (qty 4) paid for with Fireball proceeds are on order
- PTA Calendar Review/Event Planning
- Review volunteer needs for upcoming events – Family Coding Night doesn’t need volunteers
- Asking for those of us engaged to reach out to networks to ask for folks to sign up for various events/needs
- Skate Date – Stacie has 3 vols who will be leads for wristbands, cupcakes and cleanup/setup, looking for more (wristbands may be sent home with kids in advance). Also doing spirit wear table again – sweatshirts and long sleeves (child and adult sizes) were popular
- Have a chair for 5th grade ceremony – need to check in with her. Working to secure Nishuane park for 6/20 for 5th grade picnic
- Someone volunteered to chair talent show – April 14
- Related docs:
- Events underway– volunteers in place and planning/supporting
- Science Day (3/31)
- International Night (4/27)
- 5th Grade Picnic (6/16)
- 5th Grade Yearbook – Papasikos has offered to sponsor 5th grade yearbook again this year. Will be done by Susan Gardner Zartman
- Suggestion for April meeting – have a night out, in person only
Q: Did we ask parents of families in the gymnastics show, play production, etc to volunteer? Teachers usually ask parents whose kids are involved to volunteer.
A: We will check and follow up on that. Mr. Poff is always looking for parent volunteers. Ms. Lever to my knowledge hasn’t asked, but I don’t recall parents volunteering for gymnastics show, it was other teachers
Q: When soliciting volunteers, could we structure language as: “Are you going to this event, can you offer 30 minutes beforehand or after?” Challenge has been finding people to lead it.
C: Nishuane planning caregivers night out on 2/17. Also held volunteer recruitment event which we called a volunteer party (held at Montclair Women’s Club). SATp led scavenger hunt where people had to identify committee chairs and what their roles were–was a fun way to find out about volunteerism. Sedita spoke to drum up enthusiasm and participation. Spent $1k (provided food) which was well spent because we gained 3 possible board members and committee chairs.
- SATp Updates
- Past Month’s Activities/ Events
- Hillside Cares MLK Day of Service- Blessing Bags and Peace Note Drive (1/16)- Huge thanks to Christina Joseph Robinson, Kendra Johnson and Ms Harris for organizing a successful event_with collaboration of Nishuane we had our best year ever 950 blessing bags and $240 donated
- Current initiatives
- Black History Month – Celebrating Black Excellence: Uncovering Hidden Histories in STEAM:
- The Father of Video Gaming (2/7) – Karen Lawson – Recorded event and will post some footage. Trying to do something where she goes into the schools. May do Youtube channel where we post it and take it down.
- STEAM U (2/21 @ 3:50p, MLC)
- Everyday STEAM Superstars (2/21, 7p)
- Read In Literacy Contest (2/1 – 2/28) – class in each grade with most books read will win a pizza party
- Lights, Camera, Action! w/ BrainPop (2/21+ 2/24) – many teachers have signed up. Karina Lynch and staff will lead movie making workshop with classes
- Hillside Cares Food Drive (2/13 – 2/17) – collection will happen in each classroom to support Toni’s Kitchen & local organizations
- 3rd grade- cereal bars, pop tarts, oatmeal
- 4th grade- dry pasta, rice, beans
- 5th grade – canned soups + vegetables, snack packs
- Black History Month – Celebrating Black Excellence: Uncovering Hidden Histories in STEAM:
- Upcoming initiatives
- Annual Skate Date (3/3, 6:30 – 8:30p) proceeds support AAPI, Women’s History Month, Juneteenth
- Women’s History Month (March)
- League of Women Voters of Montclair: History on Voting – March 8 at 7pm
- Christina Wallace will head up Hillside Social Justice – met with Dr. Anglin, she will need more help
Q: Thinking about what happened at Nair Tamid. I’m Jewish and kids are also. Kids asked me why this happened. Wondered if there’s anything happening for Jewish History Month in May? A: May is AAPI. Let’s partner and do something
Q: Does SATp need help?
A: Yes. Have been putting together promotional videos to drum up interest. Before Dr. A went out she did a video. I also did one as did Christina Wallace and Ms. Morrisroe who is the SATp teacher coordinator. Will be posting them on Facebook.
- BOE/PTAC Updates
- HIB report
- Updates on bond referendum – bonds were sold at 3.5% which brought in $5 mil for tax payers, moved on it quickly before interest rates dropped. Also reviewing construction companies that responded to bids, may have hired one. Things are moving
- Things are pretty quiet with PTAC
Q: Went to recent PTAC meeting where Dr. Morgan reviewed standardized test scores. I left that meeting and PTA meeting where Dr. A reviewed results dissatisfied. We need a school wide meeting led by Anglin to address findings and present an action plan. Should be taken up by PTAC and then should have a building-wide committee
A: PTAC will take on this matter as hard as they did the bond referendum. Ponds said it’s his #1 priority to address this issue and close the gap. If you watch most recent meeting, Jennifer Goforth presented another set of data on internal assessment.
A: Let’s brainstorm best way to advocate for transparency. Principal doesn’t need permission to hold a school-wide town hall–happened at Glenfield with a month’s notice. Think the administration should be doing the same thing at Hillside. Don’t expect Ms. Carroll to present, but maybe she can get someone from district to present. There should be a better attempt to bring prominence to NJSLA results. Needs to be translation/context provided for things like HIB, NJSLA. At Glenfield, Dr. Rollins, Mr Pelli along with 6 teachers gave a robust presentation around NJSLA report – virtual meeting, separate from PTA meeting.
A: How NJSLA results were presented at Hillside: Anglin said last minute, I’d like to present NJSLA data. We need to take an active role in helping admin schedule more town hall meetings.
Meeting adjourned at 8:09p. Next PTA Meeting Friday, March 10th @ 9:30am
Michael Barrett
Alexa Capeloto
Nicole Chalfoun
Tsihai Hanson
Stacie Hawes
Kim Marsh
Obie Miranda-Woodley
Rachel Rajaram
Christina Robinson
Lani Sommer-Padilla
Dawn Page
Selena Strader
Justin Taylor
Tawaina Turner-Dones
Sabina Wasonga-Gitau
Amira Williams
Anita Fee Willis
Dwayne Woodley
Caitlyn Yeykal